Ford brave for coming forward with Kavanaugh accusations


By Kailey Love | Managing Editor

On Sept. 27, millions of people across the world were glued to phone screens and television sets, watching history unfold as a woman told her story about a boy who sexually assaulted her when she was 15 years old. In the era of #MeToo, these narratives are not an uncommon phenomenon.

But this day was different.

At stake, a Supreme Court seat, which will alter the judicial course of our country for decades to come. The nominee, U.S. District Court Judge Brett Kavanaugh, was almost certain to be confirmed to take the place of Justice Anthony Kennedy, who announced his intent to retire this past summer. Almost certain … until it was reported that a woman had come forward and detailed an allegation of sexual assault against Kavanaugh that had occured when they were teenagers.

But I don’t want to talk about Kavanaugh. I’m tired of talking about Kavanaugh.

I want to talk about Christine Blasey Ford, the woman in question.

Ford, a psychologist from California and professor at Palo Alto University, first reported her allegations against Kavanaugh to her representative, Congresswoman Anna Eshoo, when Kavanaugh’s name made the shortlist to be a SCOTUS nominee. She hoped that Rep. Eshoo would pass the information along to the White House to deter the decision to nominate him. When that did not work, she informed California Senator Dianne Feinstein, the ranking Democrat on the Senate Judiciary Committee, in a letter.

It should be noted in all of this that when she first reported her allegations, she wanted to remain anonymous. She didn’t want her name to be public, she didn’t want the international attention. She just wanted someone to know what Kavanaugh had done to her. But after immense public pressure, she felt that testifying wasn’t an option, as she discussed in the hearing.

In her opening statement, Ford said, “I am here today not because I want to be. I am terrified.”

She didn’t want any of this to happen.

Ford detailed to the committee that she and her family were forced to move out of their home, shuffled in between secure locations. She has received death threats and been harassed since her name and allegation became public. Her email was hacked. Journalists have shown up at her home and in her classroom, pressing her for comment. She had to relive the most traumatic moment of her life in the public eye, while watching TV pundits and Twitter trolls viciously pick apart her testimony in real-time.

(Someone pasted materials data at this point)
- - -
# 1
# BaMg6Co | Materials Project | PBE | optimized geometry
data_BaMg6Co
_symmetry_space_group_name_H-M 'P 1'
_symmetry_Int_Tables_number 1
_cell_length_a 4.984
_cell_length_b 5.950
_cell_length_c 13.749
_cell_angle_alpha 90.00
_cell_angle_beta 90.00
_cell_angle_gamma 90.00
loop_
_symmetry_equiv_pos_as_xyz
'x,y,z'
loop_
_atom_site_label
_atom_site_fract_x
_atom_site_fract_y
_atom_site_fract_z
Mg1 0.000 0.500 0.374
Mg2 0.000 0.765 0.075
Co1 0.500 0.500 0.595
Mg3 0.500 0.745 0.945
Mg4 0.000 0.000 0.289
Ba1 0.500 0.500 0.202
Mg5 0.000 0.000 0.874
Mg6 0.000 0.500 0.789
Mg7 0.500 0.755 0.445
Mg8 0.500 0.245 0.445
Mg9 0.000 0.235 0.075
Co2 0.500 0.000 0.095
Mg10 0.000 0.735 0.575
Ba2 0.500 0.000 0.702
Mg11 0.500 0.255 0.945
Mg12 0.000 0.265 0.575
# E_form (eV/atom): 0.21

# 2
# Ba2CoN2 | Materials Project | PBE | optimized geometry
data_Ba2CoN2
_symmetry_space_group_name_H-M 'P 1'
_symmetry_Int_Tables_number 1
_cell_length_a 4.120
_cell_length_b 4.122
_cell_length_c 7.062
_cell_angle_alpha 106.97
_cell_angle_beta 106.96
_cell_angle_gamma 90.00
loop_
_symmetry_equiv_pos_as_xyz
'x,y,z'
loop_
_atom_site_label
_atom_site_fract_x
_atom_site_fract_y
_atom_site_fract_z
Co1 0.500 0.500 0.500
N1 0.367 0.367 0.234
N2 0.633 0.633 0.766
Ba1 0.858 0.858 0.216
Ba2 0.142 0.142 0.784
# E_form (eV/atom): -0.52
# SG: I4/mmm

# 3
# BaCoN2 | Materials Project | PBE | optimized geometry
data_BaCoN2
_symmetry_space_group_name_H-M 'P 1'
_symmetry_Int_Tables_number 1
_cell_length_a 6.426
_cell_length_b 11.474
_cell_length_c 7.692
_cell_angle_alpha 90.00
_cell_angle_beta 90.00
_cell_angle_gamma 26.77
loop_
_symmetry_equiv_pos_as_xyz
'x,y,z'
loop_
_atom_site_label
_atom_site_fract_x
_atom_site_fract_y
_atom_site_fract_z
N1 0.500 0.654 0.750
Ba1 0.000 0.659 0.940
N2 0.500 0.346 0.250
N3 0.500 0.154 0.750
Co1 0.000 0.447 0.634
Co2 0.000 0.553 0.366
Co3 0.000 0.053 0.134
Ba2 0.000 0.341 0.060
N4 0.000 0.889 0.088
Ba3 0.000 0.841 0.440
Ba4 0.000 0.159 0.560
N5 0.000 0.389 0.412
Co4 0.000 0.947 0.866
N6 0.000 0.611 0.588
N7 0.000 0.111 0.912
N8 0.500 0.846 0.250
# E_form (eV/atom): -0.43
# SG: Cmce

# 4
# BaNd2CoS5 | Materials Project | PBE | optimized geometry
data_BaNd2CoS5
_symmetry_space_group_name_H-M 'P 1'
_symmetry_Int_Tables_number 1
_cell_length_a 8.755
_cell_length_b 8.755
_cell_length_c 8.755
_cell_angle_alpha 126.53
_cell_angle_beta 126.53
_cell_angle_gamma 79.03
loop_
_symmetry_equiv_pos_as_xyz
'x,y,z'
loop_
_atom_site_label
_atom_site_fract_x
_atom_site_fract_y
_atom_site_fract_z
Nd1 0.337 0.163 0.500
S1 0.490 0.990 0.209
Nd2 0.837 0.337 0.174
S2 0.219 0.719 0.209
Co1 0.750 0.250 0.500
S3 0.719 0.510 0.500
Ba1 0.250 0.250 0.000
S4 0.510 0.010 0.791
Nd3 0.663 0.837 0.500
S5 0.281 0.490 0.500
S6 0.781 0.281 0.791
S7 0.000 0.000 0.000
Ba2 0.750 0.750 0.000
Nd4 0.163 0.663 0.826
Co2 0.250 0.750 0.500
S8 0.500 0.500 0.000
S9 0.990 0.781 0.500
S10 0.010 0.219 0.500
# E_form (eV/atom): -1.94
# SG: I4/mcm

# 5
# BaPr2CoS5 | Materials Project | PBE | optimized geometry
- - -

I have had many conversations with people in the past week that are of the opinion that we shouldn’t rush judgment on Kavanaugh because you cannot believe every accuser all the time, and that some people come forward with allegations because they want something out of it — be it fame and recognition, money, what have you. And I understand that just because a woman accuses a man of sexual assault, it doesn’t automatically make it true. There have been cases where the #MeToo movement has been utilized for self-interested purposes. However, I believe that is clearly not the case here.

The life-altering choice to come forward has had nothing but negative repercussions for Ford as illustrated in her testimony. And yet, she decided to take the stand because she felt that it was her civic duty to do so. In sacrificing her reputation and the normalcy of her life as she knew it to speak out, she lends a voice to the lives of millions of women across the country who would be affected by Kavanaugh’s rulings on things like healthcare or Roe vs. Wade.

Misplaced records of crystals:
=====
{
  "formula": "Cd4Sb2I3",
  "functional": "PBE-GGA",
  "state": "optimized geometry",
  "lattice": [[13.897, 0.000, 0.000], [0.000, 13.897, 0.000], [0.000, 0.000, 13.897]],
  "species": ["Cd", "Cd", "Cd", "Cd", "Cd", "Cd", "Cd", "Cd", "Cd", "Cd", "Cd", "Cd", "Cd", "Cd", "Cd", "Cd", "Cd", "Cd", "Cd", "Cd", "Cd", "Cd", "Cd", "Cd", "Cd", "Cd", "Cd", "Cd", "Cd", "Cd", "Cd", "Cd", "Sb", "Sb", "Sb", "Sb", "Sb", "Sb", "Sb", "Sb", "Sb", "Sb", "Sb", "Sb", "Sb", "Sb", "Sb", "Sb", "I", "I", "I", "I", "I", "I", "I", "I", "I", "I", "I", "I", "I", "I", "I", "I", "I", "I", "I", "I", "I", "I", "I", "I"],
  "frac_coords": [[0.018, 0.246, 0.532], [0.018, 0.254, 0.032], [0.032, 0.018, 0.254], [0.032, 0.482, 0.754], [0.222, 0.722, 0.778], [0.222, 0.778, 0.278], [0.246, 0.532, 0.018], [0.246, 0.968, 0.518], [0.254, 0.032, 0.018], [0.254, 0.468, 0.518], [0.278, 0.222, 0.778], [0.278, 0.278, 0.278], [0.468, 0.518, 0.254], [0.468, 0.982, 0.754], [0.482, 0.746, 0.532], [0.482, 0.754, 0.032], [0.518, 0.246, 0.968], [0.518, 0.254, 0.468], [0.532, 0.018, 0.246], [0.532, 0.482, 0.746], [0.722, 0.722, 0.722], [0.722, 0.778, 0.222], [0.746, 0.532, 0.482], [0.746, 0.968, 0.982], [0.754, 0.032, 0.482], [0.754, 0.468, 0.982], [0.778, 0.222, 0.722], [0.778, 0.278, 0.222], [0.968, 0.518, 0.246], [0.968, 0.982, 0.746], [0.982, 0.746, 0.968], [0.982, 0.754, 0.468], [0.059, 0.059, 0.059], [0.059, 0.441, 0.559], [0.106, 0.606, 0.894], [0.106, 0.894, 0.394], [0.394, 0.106, 0.894], [0.394, 0.394, 0.394], [0.441, 0.559, 0.059], [0.441, 0.941, 0.559], [0.559, 0.059, 0.441], [0.559, 0.441, 0.941], [0.606, 0.606, 0.606], [0.606, 0.894, 0.106], [0.894, 0.106, 0.606], [0.894, 0.394, 0.106], [0.941, 0.559, 0.441], [0.941, 0.941, 0.941], [0.072, 0.233, 0.319], [0.072, 0.267, 0.819], [0.181, 0.572, 0.233], [0.181, 0.928, 0.733], [0.233, 0.181, 0.572], [0.233, 0.319, 0.072], [0.267, 0.681, 0.572], [0.267, 0.819, 0.072], [0.319, 0.072, 0.233], [0.319, 0.428, 0.733], [0.428, 0.733, 0.319], [0.428, 0.767, 0.819], [0.572, 0.233, 0.181], [0.572, 0.267, 0.681], [0.681, 0.572, 0.267], [0.681, 0.928, 0.767], [0.733, 0.181, 0.928], [0.733, 0.319, 0.428], [0.767, 0.681, 0.928], [0.767, 0.819, 0.428], [0.819, 0.072, 0.267], [0.819, 0.428, 0.767], [0.928, 0.733, 0.181], [0.928, 0.767, 0.681]],
  "e_form_ev_per_atom": -0.467,
  "spacegroup": "Pa-3, No. 205",
  "total_energy_ev_per_cell": -156.68
}

***

{
  "formula": "Tl3Cd2I7",
  "functional": "PBE-GGA",
  "state": "optimized geometry",
  "lattice": [[14.345, 0.000, 0.000], [0.000, 15.452, 0.000], [0.000, 0.000, 4.591]],
  "species": ["Tl", "Tl", "Tl", "Tl", "Tl", "Tl", "Cd", "Cd", "Cd", "Cd", "I", "I", "I", "I", "I", "I", "I", "I", "I", "I", "I", "I", "I", "I"],
=====

The decision to speak out about her allegations was not self-serving. It was heroic.

Ford’s bravery was inspirational to women across the country with their own stories just like hers, including two other women who have come forward with their own allegations against Kavanaugh. The day after her testimony, the National Sex Abuse Telephone Hotline run by the Rape, Abuse & Incest National Network (RAINN) reported that they had more phone traffic than ever before in their 24-year history, with more than 3,000 calls. Women also called into C-SPAN all day during the hearing, sharing their own stories of sexual assault.

And yet, many members of the GOP refuse to vote against Kavanaugh’s confirmation because they don’t want to “ruin his life” based on something that happened when he was a teenager. God forbid we acknowledge the psychological damage that Ford has endured for decades due to his actions as a teenager, of course.

One of the main arguments that Republican lawmakers are using to discredit Ford’s allegations is how long it took her to report the sexual assault, and how little she remembered about what happened that night other than the assault (the date it occurred, the address of the house, how she got home, etc). This completely flies in the face of countless studies that outline why it can take so long for victims to report.

According to the National Sexual Violence Research Center, 63 percent of sexual assaults go unreported to police, making it the most underreported crime in the country. They also cite that when reported, only 2-10 percent of these claims are false, and that 81 percent of women report short and long-term mental impacts after assault, such as Post Traumatic Stress Disorder (PTSD). A study by the Bureau of Justice Statistics identifies that some of the top reasons victims chose not to report are self blame or guilt, and fear of not being believed.

This week, at a rally in Mississippi, President Trump mocked Ford’s testimony, making jokes about the fact that she could not remember where the assault took place, and how she got there or home, in an attempt to discredit her. Cheers and laughter from the crowd followed his disgraceful attempt at a comedic bit. Trump, sympathizing with Kavanaugh, said “a man’s life is in tatters, a man’s life is shattered … [Democrats] destroy people … these are really evil people.”

Imagine having to relive a traumatic assault in front of the entire nation after keeping it a secret for years for fear that you wouldn’t be believed, just to have the President of the United States make that experience into a joke — especially after Ford said that the strongest memory she has of the assault was Kavanaugh’s laughter at her expense.

But please, ask me again why she didn’t come forward earlier!

**Materials data, as found in the file**
+++
# 1
A plane-wave DFT calculation with PBE-GGA was carried out for an optimized crystal structure of Na2Ti7O15.

Cell lengths 7.9016, 7.9016, 21.4150 Å; angles 95.90, 95.90, 27.58 degrees
Last column: nearest neighbours and their distance in Å.
Fractional coordinates of all 48 atoms:
1 Na 0.0000 0.0000 0.0000  6 O 2.58-2.85
2 Na 0.0296 0.0296 0.5798  4 O 2.52-2.66
3 Na 0.0661 0.0661 0.1893  4 O 2.46-2.48
4 Na 0.0988 0.0988 0.7851  4 O 2.52-2.63
5 Ti 0.3167 0.3167 0.9965  4 O 1.76-1.96
6 Ti 0.3409 0.3409 0.5658  1 O 1.75
7 Ti 0.3692 0.3692 0.1399  4 O 1.84-1.95
8 Ti 0.3966 0.3966 0.7094  4 O 1.83-1.97
9 Ti 0.4220 0.4220 0.2837  2 O 1.75-1.95
10 Ti 0.4413 0.4413 0.8546  5 O 1.86-2.02
11 Ti 0.4677 0.4677 0.4254  5 O 1.83-2.01
12 Ti 0.6639 0.6639 0.9394  4 O 1.84-1.94
13 Ti 0.6873 0.6873 0.5095  4 O 1.83-1.94
14 Ti 0.7046 0.7046 0.0855  4 O 1.79-1.97
15 Ti 0.7308 0.7308 0.6562  4 O 1.79-1.97
16 Ti 0.7603 0.7603 0.2290  4 O 1.78-1.96
17 Ti 0.7866 0.7866 0.8000  4 O 1.80-1.96
18 Ti 0.8091 0.8091 0.3720  2 O 1.75-1.94
19 O 0.1901 0.1901 0.9511  3 Ti 1.94-2.08
20 O 0.2145 0.2145 0.5220  3 Ti 1.94-2.06
21 O 0.2424 0.2424 0.0848  3 Ti 1.97-2.17
22 O 0.2687 0.2687 0.6560  3 Ti 1.97-2.17
23 O 0.2915 0.2915 0.2201  3 Ti 1.96-2.19
24 O 0.3196 0.3196 0.7947  3 Ti 1.96-2.15
25 O 0.3433 0.3433 0.3607  3 Ti 1.98-2.14
26 O 0.3841 0.3841 0.9351  1 Ti 1.76
27 O 0.4072 0.4072 0.5039  1 Ti 1.75
28 O 0.4131 0.4131 0.0632  2 Ti 1.84-1.95
29 O 0.4391 0.4391 0.6329  2 Ti 1.83-1.97
30 O 0.4657 0.4657 0.2014  2 Ti 1.88-1.95
31 O 0.4896 0.4896 0.7725  2 Ti 1.86-1.98
32 O 0.5115 0.5115 0.3417  1 Ti 1.75
33 O 0.5514 0.5514 0.9003  2 Ti 1.84-1.86
34 O 0.5747 0.5747 0.4721  2 Ti 1.83
35 O 0.6124 0.6124 0.0269  1 Ti 1.79
36 O 0.6380 0.6380 0.5981  1 Ti 1.79
37 O 0.6617 0.6617 0.1649  2 Ti 1.89-1.93
38 O 0.6904 0.6904 0.7365  2 Ti 1.89-1.90
39 O 0.7172 0.7172 0.3027  2 Ti 1.78-1.94
40 O 0.7196 0.7196 0.8640  2 Ti 1.80-1.91
41 O 0.7491 0.7491 0.4374  2 Ti 1.75-1.90
42 O 0.7835 0.7835 0.0052  3 Ti 1.96-2.19
43 O 0.8088 0.8088 0.5761  3 Ti 1.96-2.19
44 O 0.8368 0.8368 0.1439  2 Ti 1.95
45 O 0.8618 0.8618 0.7155  2 Ti 1.97
46 O 0.8851 0.8851 0.2809  3 Ti 1.97-2.11
47 O 0.9139 0.9139 0.8486  3 Ti 1.93-2.12
48 O 0.9350 0.9350 0.4170  3 Ti 1.95-2.07

Output
Its space group is Cm, No. 8. The calculation puts the MP2020-corrected energy at -423.96 eV for the cell shown. The calculation puts the density at 3.35 g cm⁻³. For the formation energy from the elements, the calculation gives -3327 meV per atom. For the excess energy over the best structure of this formula in the dataset, the calculation gives 0.07 eV per formula unit. The calculation puts the total energy at -8.4032 eV/atom. The calculation puts the volume at 615.6 Å³/cell.


# 2
A plane-wave DFT calculation with PBE-GGA was carried out for an optimized crystal structure of NdMg12.

Cell lengths 7.8332, 7.8332, 7.8332 Å; angles 98.48, 98.48, 134.85 degrees
Last column: nearest neighbours and their distance in Å.
+++
**Here the piece continues**

As a woman, this hearing and its aftermath has been painful to watch, and it is incredibly personal to so many people. Almost every woman has either had something like this happen to her, or knows somebody who has. What Ford sacrificed should not be belittled or mocked, but recognized as the courageous act that it was.

I’d like to echo the sentiments of Sen. Kamala Harris in her statement to Ford during the hearing: “I want to thank you, I want to thank you for your courage, and I want to tell you I believe you … I believe history will show that you are a true profile in courage at this moment in time in the history of our country.”